To do =
What is needed: search the listing underneath for the word "Sb" and repeat each line that has it.

Excerpt =
┌──
No. 1
LiThS2 | PBE | relaxed

```
data_LiThS2
_chemical_formula_sum 'Li3 Th3 S6'
_space_group_name_H-M_alt 'R 3 m'
_space_group_IT_number 160
_space_group_name_Hall 'R 3 -2"'
_cell_length_a 3.9058
_cell_length_b 3.9058
_cell_length_c 20.5671
_cell_angle_alpha 90.00
_cell_angle_beta 90.00
_cell_angle_gamma 120.00
loop_
_atom_site_label
_atom_site_type_symbol
_atom_site_fract_x
_atom_site_fract_y
_atom_site_fract_z
Li1 Li 0.0000 0.0000 0.0000
Th1 Th 0.0000 0.0000 0.1786
S1 S 0.0000 0.0000 0.5980
S2 S 0.0000 0.0000 0.7621
```

Values from the calculation:
Formation energy (no corrections), eV/atom: -1.573
VASP energy, eV per atom: -5.970
Spin magnetization, μB per atom: 0.000

No. 2
Pr2GaIr3 | PBE | relaxed

```
data_Pr2GaIr3
_chemical_formula_sum 'Pr4 Ga2 Ir6'
_space_group_name_H-M_alt 'P 63/m m c'
_space_group_IT_number 194
_space_group_name_Hall '-P 6c 2c'
_cell_length_a 5.6476
_cell_length_b 5.6476
_cell_length_c 8.3777
_cell_angle_alpha 90.00
_cell_angle_beta 90.00
_cell_angle_gamma 120.00
loop_
_atom_site_label
_atom_site_type_symbol
_atom_site_fract_x
_atom_site_fract_y
_atom_site_fract_z
Pr1 Pr 0.3333 0.6667 0.0647
Ga1 Ga 0.0000 0.0000 0.0000
Ir1 Ir 0.1692 0.3383 0.7500
```

Values from the calculation:
Energy of formation, meV/atom: -679
VASP energy, eV per atom: -7.207
Spin magnetization, μB per atom: 0.000

No. 3
Er3In3HgRh2 | PBE | relaxed

```
data_Er3In3HgRh2
_chemical_formula_sum 'Er3 In3 Hg1 Rh2'
_space_group_name_H-M_alt 'P -6 2 m'
_space_group_IT_number 189
_space_group_name_Hall 'P -6 -2'
_cell_length_a 7.9099
_cell_length_b 7.9099
_cell_length_c 3.6764
_cell_angle_alpha 90.00
_cell_angle_beta 90.00
_cell_angle_gamma 120.00
loop_
_atom_site_label
_atom_site_type_symbol
_atom_site_fract_x
_atom_site_fract_y
_atom_site_fract_z
Er1 Er 0.0000 0.3996 0.0000
In1 In 0.0000 0.7123 0.5000
Hg1 Hg 0.0000 0.0000 0.0000
Rh1 Rh 0.3333 0.6667 0.5000
```

Values from the calculation:
Energy of formation, meV/atom: -616
VASP energy, eV per atom: -4.717
Spin magnetization, μB per atom: 0.000

No. 4
Zr2TcPt | PBE | relaxed

```
data_Zr2TcPt
_chemical_formula_sum 'Zr2 Tc1 Pt1'
_space_group_name_H-M_alt 'P 4 m m'
_space_group_IT_number 99
_cell_length_a 2.855
_cell_length_b 2.855
_cell_length_c 9.096
_cell_angle_alpha 90.00
_cell_angle_beta 90.00
_cell_angle_gamma 90.00
loop_
_space_group_symop_operation_xyz
'x,y,z'
'-y,x,z'
'-x,-y,z'
'y,-x,z'
'-x,y,z'
'y,x,z'
'x,-y,z'
'-y,-x,z'
loop_
_atom_site_label
_atom_site_type_symbol
_atom_site_fract_x
_atom_site_fract_y
_atom_site_fract_z
Zr1 Zr 0.000 0.000 0.000
Zr2 Zr 0.500 0.500 0.297
Tc1 Tc 0.500 0.500 0.747
Pt1 Pt 0.000 0.000 0.544
```

Values from the calculation:
Energy of formation, meV/atom: -105
VASP energy, eV per atom: -8.481
Spin magnetization, μB per atom: 0.000

No. 5
ZrBeSb2Rh | PBE | relaxed

```
data_ZrBeSb2Rh
_chemical_formula_sum 'Zr1 Be1 Sb2 Rh1'
_space_group_name_H-M_alt 'P 4/m m m'
_space_group_IT_number 123
_space_group_name_Hall '-P 4 2'
_cell_length_a 5.399
_cell_length_b 5.399
_cell_length_c 4.607
_cell_angle_alpha 90.00
_cell_angle_beta 90.00
_cell_angle_gamma 90.00
loop_
_atom_site_label
_atom_site_type_symbol
_atom_site_fract_x
_atom_site_fract_y
_atom_site_fract_z
Zr1 Zr 0.000 0.000 0.000
Be1 Be 0.000 0.000 0.500
Sb1 Sb 0.000 0.500 0.000
Rh1 Rh 0.500 0.500 0.500
```

Values from the calculation:
Formation energy (no corrections), eV/atom: 1.121
VASP energy, eV per atom: -4.453
Spin magnetization, μB per atom: 0.000

No. 6
HgTe2NO | PBE | relaxed

```
data_HgTe2NO
_chemical_formula_sum 'Hg1 Te2 N1 O1'
_space_group_name_H-M_alt 'P 4/m m m'
_space_group_IT_number 123
_space_group_name_Hall '-P 4 2'
_cell_length_a 5.835
_cell_length_b 5.835
_cell_length_c 4.035
_cell_angle_alpha 90.00
_cell_angle_beta 90.00
_cell_angle_gamma 90.00
loop_
_atom_site_label
_atom_site_type_symbol
_atom_site_fract_x
_atom_site_fract_y
_atom_site_fract_z
Hg1 Hg 0.000 0.000 0.000
Te1 Te 0.000 0.500 0.000
N1 N 0.000 0.000 0.500
O1 O 0.500 0.500 0.500
```

Values from the calculation:
└──

Reply =
Sb1 Sb 0.000 0.500 0.000